Creating A Realistic Weight Loss Routine
Wanting to lose weight is one of the most common desires for a variety of reasons. The goal is also one of the most popular New Year’s resolutions that people make annually. But sometimes there’s a disconnect between a desire to lose weight and creating an exercise plan that’s realistic and possible to maintain. Consider incorporating the following tips to create an exercise routine that’s sustainable.
1. Be realistic
Someone who’s lived a mostly sedentary lifestyle shouldn’t automatically expect to perform a physically grueling exercise routine on day one. Instead, a smart tip is to ease into longer workouts by incrementally increasing the time spent exercising every day or few days. While most guides recommend starting with 30 minutes of physical activity per day, even a person who strives for consistently achieving 15 minutes of daily activity will see benefits over time.
[What comes next are data records, not part of the entry]
'''
No. 1
VASP calculation (PBE) on a geometry-optimized TbPm3Sm4Te8 structure.

E_form (uncorrected) = -1.378 eV/atom

Structure (CIF):
```
data_TbPm3Sm4Te8
_chemical_formula_sum 'Tb3 Pm9 Sm12 Te24'
_cell_length_a 8.8943
_cell_length_b 8.8943
_cell_length_c 21.7512
_cell_angle_alpha 90.00
_cell_angle_beta 90.00
_cell_angle_gamma 120.00
_space_group_name_H-M_alt 'R -3 m'
_space_group_IT_number 166
_space_group_name_Hall '-R 3 2"'
loop_
_atom_site_label
_atom_site_type_symbol
_atom_site_fract_x
_atom_site_fract_y
_atom_site_fract_z
Tb1 Tb 0.0000 0.0000 0.0000
Pm1 Pm 0.0000 0.5000 0.0000
Sm1 Sm 0.0000 0.0000 0.5000
Sm2 Sm 0.0000 0.5000 0.5000
Te1 Te 0.0000 0.0000 0.2494
Te2 Te 0.0037 0.5019 0.7497
```



No. 2
VASP calculation (PBE) on a geometry-optimized Fe2IrPd5 structure.

E_form = -0.3 eV/f.u.

Structure (CIF):
```
data_Fe2IrPd5
_chemical_formula_sum 'Fe4 Ir2 Pd10'
_cell_length_a 5.5151
_cell_length_b 11.0220
_cell_length_c 3.8503
_cell_angle_alpha 90.00
_cell_angle_beta 90.00
_cell_angle_gamma 90.00
_space_group_name_H-M_alt 'P b a m'
_space_group_IT_number 55
_space_group_name_Hall '-P 2 2ab'
loop_
_atom_site_label
_atom_site_type_symbol
_atom_site_fract_x
_atom_site_fract_y
_atom_site_fract_z
Fe1 Fe 0.2418 0.1221 0.0000
Ir1 Ir 0.0000 0.0000 0.5000
Pd1 Pd 0.0000 0.5000 0.5000
Pd2 Pd 0.0012 0.7511 0.5000
Pd3 Pd 0.2488 0.8766 0.0000
```



No. 3
VASP calculation (PBE) on a geometry-optimized SmY3Mg2 structure.

E_form = -0.4 eV/f.u.

Structure (CIF):
```
data_SmY3Mg2
_chemical_formula_sum 'Sm1 Y3 Mg2'
_cell_length_a 3.6844
_cell_length_b 3.6844
_cell_length_c 13.0200
_cell_angle_alpha 90.00
_cell_angle_beta 90.00
_cell_angle_gamma 90.00
_space_group_name_H-M_alt 'P 4/m m m'
_space_group_IT_number 123
_space_group_name_Hall '-P 4 2'
loop_
_atom_site_label
_atom_site_type_symbol
_atom_site_fract_x
_atom_site_fract_y
_atom_site_fract_z
Sm1 Sm 0.0000 0.0000 0.0000
Y1 Y 0.5000 0.5000 0.1921
Y2 Y 0.5000 0.5000 0.5000
Mg1 Mg 0.0000 0.0000 0.3482
```



No. 4
VASP calculation (PBE) on a geometry-optimized La5Sn2Au structure.

E_form = -5.4 eV/f.u.
energy relative to the lowest polymorph listed for this composition = 0 meV/atom

Structure (CIF):
```
data_La5Sn2Au
_chemical_formula_sum 'La10 Sn4 Au2'
_cell_length_a 8.2816
_cell_length_b 12.9402
_cell_length_c 4.9157
_cell_angle_alpha 90.00
_cell_angle_beta 90.00
_cell_angle_gamma 90.00
_space_group_name_H-M_alt 'P b a m'
_space_group_IT_number 55
_space_group_name_Hall '-P 2 2ab'
loop_
_atom_site_label
_atom_site_type_symbol
_atom_site_fract_x
_atom_site_fract_y
_atom_site_fract_z
La1 La 0.0000 0.0000 0.0000
La2 La 0.1582 0.2821 0.0000
La3 La 0.1892 0.5664 0.5000
Sn1 Sn 0.0705 0.8292 0.5000
Au1 Au 0.0000 0.5000 0.0000
```



No. 5
VASP calculation (PBE) on a geometry-optimized Ga3SiN structure.

E_form (uncorrected) = 0.492 eV/atom
energy relative to the lowest polymorph listed for this composition = 0 meV/atom

Structure (CIF):
```
data_Ga3SiN
_chemical_formula_sum 'Ga3 Si1 N1'
_cell_length_a 4.2804
'''
[So much for the data records]
2. Don’t lift too much too soon
Along the same lines of being realistic, it’s important not to lift too much weight prematurely before the body has acclimated. While soreness should be expected when beginning a new workout routine or increasing weights during exercise, doing too much can cause serious injury and leave a person on the sidelines.
3. Make it a group activity
Some people prefer working out alone. But for other individuals, working out with friends can create what’s known as accountability partners. Having another person to exercise with can keep individuals motivated and prevent slacking off or complete workout abandonment. Ideally, pick a person who has equal motivation levels to ensure both individuals go the distance.
4. Be consistent
Turning a new habit into a behavior takes time. So, the best way to stick with a routine is to try to exercise around the same time of day, every day or every few days, for people who opt for less than seven days of exercise.
5. Talk to a doc before beginning
While all people can benefit from consulting a physician, people that aren’t used to sustained physical activity, have underlying health conditions, or are older should speak with a physician before beginning any workout routine. Getting a physical can alert individuals to any underlying medical conditions and allow for a doctor to offer guidance if certain conditions require a tailored workout routine.
- - -
Density functional theory data (PBE) for crystalline Nd6Sm5Mg at its relaxed geometry.

a b c (Å): 5.144 9.591 9.591
angles (deg): 106.88 105.55 105.55
Fractional coordinates of all 12 atoms:
Nd: 0.247 0.412 0.081
Nd: 0.247 0.081 0.412
Nd: 0.748 0.248 0.248
Nd: 0.753 0.588 0.919
Nd: 0.252 0.752 0.752
Nd: 0.753 0.919 0.588
Sm: 0.500 0.169 0.831
Sm: 0.000 0.335 0.665
Sm: 0.500 0.500 0.500
Sm: 0.500 0.831 0.169
Sm: 0.000 0.665 0.335
Mg: 0.000 0.000 0.000

Calculated values
energy of formation = 0.011 eV/atom
V = 404 Å³/cell
- - -
End of the crystal structures:
Go get moving!
Embarking on a workout routine can be intimidating at first, but the benefits far outweigh any initial discomfort or confusion people might experience. Along with following the tips listed above, people can track fitness activities and goals accomplished or even join in with fitness groups to create a collaborative and supportive environment which makes achieving goals easier and more fun. For more tips on starting an exercise routine, speak with a healthcare provider.